"A bog of testosterone" by @BloggersRUs

"A bog of testosterone"

by Tom Sullivan

Donald Trump - Caricature by DonkeyHotey via Creative Commons.

+++
A 9-piece molecular cluster, C37H59Cl16F3N2O2 overall at a distorted geometry. Source: the Open Molecules 2025 dataset; level of theory: the ωB97M-V functional and the def2-TZVPD basis.

```
119
Properties=species:S:1:pos:R:3:forces:R:3
H 6.05186 2.09737 -5.61940 -0.109 -0.316 0.907
N 5.94770 1.65807 -4.67417 -1.403 4.993 3.385
C 5.63661 2.68935 -3.79339 0.844 -2.627 -1.545
C 5.38880 2.41327 -2.17567 -0.131 -1.415 -1.041
C 3.76365 2.43783 -1.89560 0.967 0.522 0.042
C 3.34531 2.67101 -0.32697 -0.562 0.282 0.394
C 4.30004 1.91013 0.76648 4.749 -0.347 2.145
O 5.57772 2.25103 1.03439 -7.415 -1.620 -2.035
C 3.72594 0.60449 1.63853 -1.841 -2.453 1.450
C 2.16690 0.65994 2.22137 1.900 -3.084 0.547
C 1.48119 -0.57052 3.09289 4.504 -0.267 -1.705
C 2.41962 -1.91358 3.33410 1.746 2.591 -1.950
C 3.98078 -2.03256 2.75453 -2.097 4.151 -1.006
C 4.64220 -0.74971 1.91453 -3.623 0.270 1.401
O 3.24106 1.13022 -2.33483 -1.175 2.385 -0.909
C 1.93934 1.25455 -3.01442 -1.598 -0.450 0.352
C 0.87825 0.20261 -2.27900 0.078 1.645 0.854
C -0.60973 0.54808 -2.84145 -1.495 0.557 0.079
C -1.86383 0.08533 -1.89618 -6.815 -4.301 4.530
C -2.95346 -0.49671 -1.18333 7.759 4.415 -4.266
N 1.37522 -1.19559 -2.43911 -1.112 -2.203 1.612
C 1.05800 -1.86180 -3.73439 -0.099 -0.596 -2.582
C -0.34636 -2.71147 -3.79396 -0.856 0.368 -0.801
C 2.30509 -2.78690 -4.36217 -0.031 -0.557 1.048
C 3.78933 -2.15798 -4.04331 -0.397 -0.016 -0.493
C 1.31478 -2.04825 -1.21745 0.985 0.402 1.796
F 2.41146 -1.55869 -0.29845 -3.494 -1.689 -2.510
F 0.06131 -1.92605 -0.40563 3.722 -0.507 -2.364
F 1.55728 -3.49470 -1.38987 -0.869 4.768 0.190
H 5.53976 3.81243 -4.16043 0.161 -2.295 0.751
H 5.73455 1.29146 -1.97948 -0.677 2.463 -0.386
H 6.00848 3.12027 -1.47824 -1.373 -1.170 -1.488
H 3.34053 3.34866 -2.54080 0.549 -2.061 1.417
H 2.22740 2.28455 -0.20080 2.487 0.683 -0.238
H 3.31201 3.83480 -0.09899 0.412 -2.456 -0.352
H 1.53945 1.62102 1.99226 1.284 -2.057 0.587
H 0.36895 -0.47969 3.51534 2.837 -0.277 -1.098
H 2.01682 -2.85268 3.92074 0.770 2.238 -1.323
H 4.65931 -2.98571 2.89802 -1.749 2.150 -0.216
H 5.76126 -0.79516 1.51009 -2.805 0.112 0.979
H 1.96807 1.00673 -4.16421 0.359 0.423 2.167
H 1.44614 2.33195 -2.90602 1.283 -2.159 -0.101
H 0.89657 0.50498 -1.12842 0.013 -0.901 -2.430
H -0.67618 1.73851 -2.91351 0.043 -2.889 0.415
H -0.82651 0.17548 -3.95087 0.589 0.664 2.537
H -3.74985 -0.77600 -0.35124 2.149 0.854 -2.320
H 0.93727 -0.99688 -4.55054 0.368 -1.914 2.471
H -1.15564 -2.01848 -4.33270 1.609 -1.550 1.209
H -0.25627 -3.68390 -4.47765 0.010 2.114 1.630
H -0.80603 -2.98986 -2.75590 1.099 0.495 -1.896
H 2.17770 -2.94026 -5.51624 -0.080 0.510 2.207
H 2.21430 -3.87151 -3.87385 0.256 2.357 -1.070
H 4.40785 -2.16180 -5.05389 -0.974 -0.253 2.304
H 4.31282 -2.80337 -3.19399 -0.976 1.672 -1.921
H 3.68607 -1.02953 -3.73123 0.322 -2.271 -0.340
Cl -2.10029 -0.78777 5.30501 -0.005 -0.141 -0.067
C -1.90140 0.94024 5.68794 0.056 0.537 0.090
C -2.39165 1.83838 4.56316 -0.197 -0.032 0.261
+++

Donald Trump has a problem with women. They dislike him. E.J. Dionne caught up with a few in Pennsylvania where polls show Trump 11 points behind Hillary Clinton. Susan Byrnes, a York County commissioner and a moderate Republican, for example:

“The way he interacted with the parents of a Muslim soldier and the way he talked about the Purple Heart — it almost made my heart stop,” she said in a telephone interview from a county commissioners’ gathering in the Poconos. “I can’t vote for someone like that.”

Kristen Fraser is a lawyer and businesswoman who wrote in Paul Ryan’s name in the primary and is exactly the sort of voter the Republican Party needs to cherish. She can’t vote for Clinton, she said, but added: “My social views are very liberal. I can’t bring myself to vote for Trump.”
Dionne concludes that Trump is an offense against the common decency conservative voters expect from their leaders.

The Guardian not long ago described British novelist Martin Amis this way:
Amis occupies a really peculiar position in our national life. He is the object of envy, contempt, anger, disapproval, theatrical expressions of weariness – but also of fascination. Has there in living memory been a writer whom we (by which I mean the papers, mostly) so assiduously seek out for comment – we task him to review tennis, terrorism, pornography, the state of the nation – and whom we are then so keen to denounce as worthless?
But of course Amis would have tasty things to say about Donald Trump. In this month's Harpers, Amis "reviews" bestselling books by Don the realtor ("by" in quotes, obviously). Amis deploys a retort I have been waiting to trot out for years against such as Trump. The question is not “If you’re so smart, how come you ain’t rich?”; it is “If you’re so rich, how come you ain’t smart?”

Trump has a predator's instinct for when the object of his desire has grown weak and vulnerable, Amis writes. The GOP, for example. "The question is, Can he do it with American democracy?" After a couple of weeks in the White House, Trump's brain would reduce to, in Amis' estimation, "a bog of testosterone."

Molecular data from another source follow
{
  "formula": "C6H10O",
  "method": "wB97M-V/def2-TZVPD",
  "homo_ev": -9.4,
  "lumo_energy_ev": 0.86,
  "orbital_gap_ha": 0.3775,
  "symbols": ["O", "C", "C", "C", "C", "C", "C", "H", "H", "H", "H", "H", "H", "H", "H", "H", "H"],
  "positions_angstrom": [[-1.385, 0.795, 1.414], [-0.669, 0.623, 0.451], [0.331, 1.670, -0.003], [1.630, 1.050, -0.459], [1.801, -0.260, -0.627], [0.712, -1.280, -0.415], [-0.683, -0.635, -0.391], [-0.126, 2.241, -0.826], [0.485, 2.377, 0.819], [2.460, 1.732, -0.631], [2.778, -0.635, -0.926], [0.889, -1.816, 0.528], [0.751, -2.039, -1.205], [-1.444, -1.323, -0.011], [-0.955, -0.347, -1.416], [-3.548, -1.342, 1.881], [-3.028, -0.810, 1.816]]
}


{
  "formula": "C23H33N2O2",
  "method": "wB97M-V/def2-TZVPD",
  "homo_ev": -9.5,
  "lumo_energy_ev": -4.58,
  "charge": 1,
  "orbital_gap_ha": 0.1816,
  "symbols": ["C", "O", "C", "O", "C", "C", "C", "C", "N", "C", "C", "C", "C", "C", "C", "H", "H", "H", "H", "H", "H", "H", "H", "H", "H", "H", "H", "H", "H", "H", "H", "H", "H", "H", "C", "N", "C", "C", "C", "C", "C", "C", "C", "C", "C", "C", "H", "H", "H", "H", "H", "H", "H", "H", "H", "H", "H", "H", "H", "H"],
  "positions_angstrom": [[-0.021, 4.361, 2.914], [-0.282, 3.403, 1.880], [-0.604, 3.975, 0.705], [-0.539, 5.176, 0.514], [-1.065, 3.002, -0.358], [-2.518, 3.326, -0.756], [-2.399, 4.219, -1.987], [-1.027, 3.904, -2.593], [-0.273, 3.275, -1.534], [1.041, 2.967, -1.653], [1.827, 2.516, -0.586], [3.216, 2.071, -0.830], [3.859, 2.675, -2.094], [2.922, 2.487, -3.283], [1.595, 3.208, -3.047], [0.234, 3.771, 3.794], [0.815, 5.006, 2.628], [-0.914, 4.972, 3.092], [-0.930, 1.981, 0.025], [-3.020, 2.389, -1.011], [-3.073, 3.804, 0.055], [-3.196, 4.046, -2.715], [-2.423, 5.273, -1.693], [-1.153, 3.220, -3.450], [-0.540, 4.814, -2.979], [1.405, 2.566, 0.417], [3.837, 2.267, 0.048], [3.203, 0.976, -0.961], [4.046, 3.745, -1.933], [4.824, 2.195, -2.287], [3.383, 2.844, -4.211], [2.718, 1.416, -3.410], [0.897, 2.898, -3.842], [1.751, 4.295, -3.193], [2.544, -3.852, 2.239], [3.113, -2.570, 2.627], [3.980, -2.560, 3.800], [2.824, -1.446, 1.973], [3.362, -0.203, 2.346], [2.849, 1.068, 2.049], [3.119, 2.116, 3.018], [3.311, 3.476, 2.673], [3.526, 4.444, 3.656], [3.657, 4.083, 5.003], [3.556, 2.732, 5.365], [3.259, 1.778, 4.399], [3.210, -4.639, 2.607], [1.548, -4.003, 2.681], [2.453, -3.903, 1.147], [4.006, -3.583, 4.186], [5.001, -2.246, 3.539], [3.598, -1.883, 4.579], [2.103, -1.516, 1.146], [4.271, -0.238, 2.964], [2.184, 1.201, 1.213], [3.312, 3.747, 1.615], [3.585, 5.494, 3.363], [3.847, 4.841, 5.762], [3.694, 2.427, 6.405], [3.126, 0.735, 4.699]]
}


{
  "formula": "C20H24N4O2",
  "method": "wB97M-V/def2-TZVPD",
  "homo_ev": -7.8,
  "lumo_energy_ev": 0.18,
  "orbital_gap_ha": 0.2931,
The molecular data stop here

Regarding Trump, women, and the election:
Trump’s sexual bashfulness is an interesting surprise. But where, then, does it come from — the rancor, the contempt, the disgust? It is as if he has never been told (a) that women go to the bathroom (“Disgusting,” he said of a Clinton toilet break), and (b) that women lactate (“Disgusting,” he said of a lawyer who had to go and pump milk for her newborn). Has no one told him (c) that women vote? And I hope he finds that disgusting too, in November. This race will be the mother of a battle of the sexes, Donald against Hillary — and against her innumerable sisters at the ballot box.

Between two parts of the entry: data records.
<<<
(1)
DFT (wB97M-V/def2-TZVPD) results for a single C25H35N3O4 molecule.

The geometry in XYZ format:
```
67
Properties=species:S:1:pos:R:3
C -3.0174 -0.7735 -1.5698
H -5.3391 -2.3820 0.2058
C -5.8382 0.4837 -0.3176
C -4.3084 -2.1165 -0.0232
H -4.0629 -1.4600 2.7174
C -0.0587 1.4184 -1.0334
H -2.0347 -1.1985 -1.7964
C -2.3831 1.0020 0.0535
H -1.7010 2.7819 -0.8698
H -0.5950 2.5207 1.2974
H 1.0360 3.1494 1.5913
H 3.9656 2.7452 1.1332
C -3.8994 -0.8212 0.6899
H -5.0218 -1.4704 -1.9616
C 3.0390 1.6364 -0.4442
H 5.5358 0.9818 1.7324
H -5.8082 -0.4049 1.6163
O 5.6333 -1.4665 0.5396
C 4.8365 0.8064 0.9303
C 4.8197 -0.4065 0.2657
H -4.8862 2.3222 -0.6386
H 2.3743 0.3016 -1.9748
H -6.5780 -0.2201 -0.6776
H -1.4254 -2.2876 0.1894
H 1.9799 2.8504 -1.8598
C 0.8683 0.9984 1.6937
H 3.1235 -3.1502 -2.6371
H 6.1343 -1.1384 2.5277
H -2.9209 -0.1463 2.4724
H -4.7496 1.0058 1.4292
C 2.0230 2.7041 -0.7761
C -5.1215 0.1056 0.9387
H 1.9563 -1.9519 -2.0213
N -2.9946 -0.1541 -0.2549
O -2.4730 1.5129 1.1642
C -1.5857 1.7094 -1.0397
C 3.9442 1.8137 0.5859
C 0.1829 0.0151 -0.4931
N 0.6595 2.4595 -0.3277
H 1.9460 0.9624 1.8951
O 3.9359 -1.8180 -1.3890
O 0.0354 -0.9759 -1.1968
H -3.2610 -0.0368 -2.3404
H 7.1342 -2.2682 1.5818
H 7.3005 -0.5134 1.3269
H 0.3332 0.8444 2.6360
H -1.9857 1.4675 -2.0208
H -6.1312 1.8443 -1.8938
N 0.5350 -0.0811 0.7920
C -1.3420 -2.5542 1.2265
H -0.5540 -3.2505 1.4676
C -2.1275 -2.0720 2.1720
C 2.9778 -2.1013 -2.3844
C -5.6079 1.6001 -0.9843
H 0.6627 -1.0226 1.1408
H 3.1401 -1.4908 -3.2792
C -3.2626 -1.1012 2.0632
H -1.9557 -2.3819 3.1980
C 3.9009 -0.5993 -0.7912
C 0.4673 2.3580 1.1011
H -3.8054 -2.7452 -2.0496
C 3.0481 0.4313 -1.1442
C 6.5962 -1.3220 1.5511
H 0.2735 1.4310 -2.0766
H -3.6679 -2.9334 0.3053
H 2.3325 3.6498 -0.3213
C -4.1041 -1.8475 -1.5113
```

energy relative to the best compared isomer or geometry (same formula, charge and spin): 235.8 kJ/mol
SMILES: C=CCC1(CC=C)CCCN1C(=O)C[C@@H]1C(=O)NCCN1Cc1ccc(OC)c(OC)c1



(2)
DFT (wB97M-V/def2-TZVPD) results for a molecular structure, C25H35N4O2S in a non-equilibrium geometry.

The geometry in XYZ format:
```
67
Properties=species:S:1:pos:R:3
C 2.8643 4.0182 1.1950
H 1.9750 1.7697 -1.4799
C -4.4937 -7.6845 -1.7903
H -2.2570 -2.9542 -1.4123
C -3.3470 -2.7400 0.7293
H 1.2355 1.1337 3.4284
C -0.3917 0.0466 2.7989
C 4.4495 4.2453 -0.8962
H -2.6612 -4.8950 -2.8186
H 1.4562 2.2326 0.9983
C 4.2634 2.9773 -2.9157
C 3.6900 3.3394 -1.3788
H -4.7461 -5.1803 -4.0124
C 2.8050 3.1929 -3.9016
C -2.0447 -1.8857 1.0245
H 5.3177 3.3815 -4.4203
H -5.2949 -7.3322 -0.9880
H -1.6641 -4.2493 -0.2651
C 2.2901 2.8786 0.4417
H -5.0094 -8.4148 -2.3100
S 1.8125 4.9207 5.3898
H 6.0618 3.5764 -2.7327
O -1.0705 -1.7096 0.6118
H -0.3021 3.2001 5.7360
C 5.2617 3.9250 -3.4659
H -4.5429 -4.1949 -1.3517
C 2.5923 2.6678 -0.7007
C -2.7014 -3.7358 -0.4641
H 3.2033 5.1289 4.1061
C -5.2426 -6.0665 -3.5921
O 3.3804 5.1452 3.0598
C -0.3747 1.9271 4.1871
C 1.0649 3.8106 4.6579
H 0.1983 -0.6071 2.1505
H -3.4786 -1.1309 2.2693
>>>

Visitors to the United States in an election year are touched by how seriously Americans take their national responsibility, how they vacillate and agonize. They very seldom acknowledge that their responsibility is also global. At an early stage in Trump’s rise, his altogether exemplary campaign staff decided that any attempt to “normalize” their candidate would be futile: better, they shruggingly felt (as they deployed the tautologous house style), to “let Trump be Trump.” As a lover of America (and as an admirer of the planet), I offer this advice: Don’t shrug. Don’t stand by and let President Trump be President Trump.
"A bog of testosterone"? He's already there.